== Excerpt ==
┌──
(1)
This record from the Alexandria database describes crystalline ZrTe2Ru at its relaxed geometry. The functional is PBE.

Unit cell a=3.5146 b=3.5755 c=7.2547 alpha=69.16 beta=90.00 gamma=90.00
Element x y z (fractional)
Te 0.0000 0.5925 0.5012
Ru 0.5000 0.7500 0.7500
Te 0.0000 0.9075 0.9988
Zr 0.5000 0.2500 0.2500

## Properties
* excess energy over the best structure of this formula in the dataset: 353 meV/atom
* theoretical density: 8.72 g cm⁻³
* density of states at the Fermi level: 0.764 states/eV/atom
* size of the total moment: 0.0 Bohr magnetons per cell
* uncorrected formation energy: -0.115 eV per atom

(2)
This record from the Alexandria database describes crystalline SrTl2Sb2 at its relaxed geometry. The functional is PBE.

Unit cell a=4.6791 b=4.6791 c=8.4960 alpha=74.02 beta=74.02 gamma=90.00
Element x y z (fractional)
Tl 0.2500 0.7500 0.5000
Sb 0.4072 0.4072 0.1856
Sb 0.5928 0.5928 0.8144
Tl 0.7500 0.2500 0.5000
Sr 0.0000 0.0000 0.0000

## Properties
* theoretical density: 7.17 g cm⁻³
* density of states at the Fermi level: 0.359 states/eV/atom
* size of the total moment: 0.0 Bohr magnetons per cell
* uncorrected formation energy: -0.345 eV per atom

(3)
This record from the Alexandria database describes crystalline Tb6YEr12 at its relaxed geometry. The functional is PBE.

Unit cell a=8.4753 b=8.4753 c=8.4753 alpha=88.33 beta=88.33 gamma=88.33
Element x y z (fractional)
Er 0.7880 0.6459 0.9907
Er 0.4370 0.7724 0.5444
Er 0.0093 0.2120 0.3541
Er 0.4556 0.5630 0.2276
Er 0.3541 0.0093 0.2120
Er 0.5444 0.4370 0.7724
Tb 0.3136 0.7443 0.9100
Tb 0.0900 0.6864 0.2557
Er 0.7724 0.5444 0.4370
Er 0.2276 0.4556 0.5630
Er 0.2120 0.3541 0.0093
Er 0.6459 0.9907 0.7880
Tb 0.6864 0.2557 0.0900
Tb 0.7443 0.9100 0.3136
Tb 0.9100 0.3136 0.7443
Y 0.0000 0.0000 0.0000
Er 0.5630 0.2276 0.4556
Er 0.9907 0.7880 0.6459
Tb 0.2557 0.0900 0.6864

## Properties
* excess energy over the best structure of this formula in the dataset: 0 meV/atom
* theoretical density: 8.33 g cm⁻³
* density of states at the Fermi level: 1.625 states/eV/atom
* size of the total moment: 0.0 Bohr magnetons per cell
* E_form: 0.16 eV/atom

(4)
This record from the Alexandria database describes crystalline AlMo2W at its relaxed geometry. The functional is PBE.

Unit cell a=9.5403 b=9.5403 c=9.5403 alpha=16.88 beta=16.88 gamma=16.88
Element x y z (fractional)
Mo 0.0022 0.0022 0.0022
Mo 0.2502 0.2502 0.2502
W 0.4977 0.4977 0.4977
Al 0.7499 0.7499 0.7499

## Properties
* theoretical density: 10.48 g cm⁻³
* density of states at the Fermi level: 1.071 states/eV/atom
* size of the total moment: 0.0 Bohr magnetons per cell
* E_form: 0.24 eV/atom

(5)
This record from the Alexandria database describes crystalline MnCrCu2 at its relaxed geometry. The functional is PBE.

Unit cell a=4.3407 b=4.3407 c=4.6675 alpha=85.21 beta=85.21 gamma=31.90
Element x y z (fractional)
Mn 0.4923 0.4923 0.4823
Cr 0.2558 0.2558 0.2678
Cu 0.0023 0.0023 0.9872
Cu 0.7496 0.7496 0.7628

## Properties
* theoretical density: 8.39 g cm⁻³
* density of states at the Fermi level: 0.951 states/eV/atom
* size of the total moment: 0.0 Bohr magnetons per cell
* E_form: 0.28 eV/atom

(6)
This record from the Alexandria database describes crystalline Dy8NiAg2 at its relaxed geometry. The functional is PBE.

Unit cell a=5.1990 b=6.7758 c=9.0777 alpha=105.77 beta=106.64 gamma=90.00
Element x y z (fractional)
Dy 0.7987 0.6889 0.5975
Dy 0.5892 0.4347 0.1785
Dy 0.3429 0.0319 0.6858
Ag 0.1860 0.7248 0.3720
Ag 0.8140 0.2752 0.6280
Dy 0.2013 0.3111 0.4025
Dy 0.9734 0.2141 0.9467
Dy 0.4108 0.5653 0.8215
Ni 0.5000 0.0000 0.0000
Dy 0.6571 0.9681 0.3142
Dy 0.0266 0.7859 0.0533

## Properties
* excess energy over the best structure of this formula in the dataset: 0 meV/atom
* theoretical density: 8.90 g cm⁻³
* density of states at the Fermi level: 1.062 states/eV/atom
* size of the total moment: 0.0 Bohr magnetons per cell
* E_form: -0.15 eV/atom

(7)
└──

== To do ==
Next, type out the listing earlier on unchanged.

== Here it is ==
(1)
This record from the Alexandria database describes crystalline ZrTe2Ru at its relaxed geometry. The functional is PBE.

Unit cell a=3.5146 b=3.5755 c=7.2547 alpha=69.16 beta=90.00 gamma=90.00
Element x y z (fractional)
Te 0.0000 0.5925 0.5012
Ru 0.5000 0.7500 0.7500
Te 0.0000 0.9075 0.9988
Zr 0.5000 0.2500 0.2500

## Properties
* excess energy over the best structure of this formula in the dataset: 353 meV/atom
* theoretical density: 8.72 g cm⁻³
* density of states at the Fermi level: 0.764 states/eV/atom
* size of the total moment: 0.0 Bohr magnetons per cell
* uncorrected formation energy: -0.115 eV per atom

(2)
This record from the Alexandria database describes crystalline SrTl2Sb2 at its relaxed geometry. The functional is PBE.

Unit cell a=4.6791 b=4.6791 c=8.4960 alpha=74.02 beta=74.02 gamma=90.00
Element x y z (fractional)
Tl 0.2500 0.7500 0.5000
Sb 0.4072 0.4072 0.1856
Sb 0.5928 0.5928 0.8144
Tl 0.7500 0.2500 0.5000
Sr 0.0000 0.0000 0.0000

## Properties
* theoretical density: 7.17 g cm⁻³
* density of states at the Fermi level: 0.359 states/eV/atom
* size of the total moment: 0.0 Bohr magnetons per cell
* uncorrected formation energy: -0.345 eV per atom

(3)
This record from the Alexandria database describes crystalline Tb6YEr12 at its relaxed geometry. The functional is PBE.

Unit cell a=8.4753 b=8.4753 c=8.4753 alpha=88.33 beta=88.33 gamma=88.33
Element x y z (fractional)
Er 0.7880 0.6459 0.9907
Er 0.4370 0.7724 0.5444
Er 0.0093 0.2120 0.3541
Er 0.4556 0.5630 0.2276
Er 0.3541 0.0093 0.2120
Er 0.5444 0.4370 0.7724
Tb 0.3136 0.7443 0.9100
Tb 0.0900 0.6864 0.2557
Er 0.7724 0.5444 0.4370
Er 0.2276 0.4556 0.5630
Er 0.2120 0.3541 0.0093
Er 0.6459 0.9907 0.7880
Tb 0.6864 0.2557 0.0900
Tb 0.7443 0.9100 0.3136
Tb 0.9100 0.3136 0.7443
Y 0.0000 0.0000 0.0000
Er 0.5630 0.2276 0.4556
Er 0.9907 0.7880 0.6459
Tb 0.2557 0.0900 0.6864

## Properties
* excess energy over the best structure of this formula in the dataset: 0 meV/atom
* theoretical density: 8.33 g cm⁻³
* density of states at the Fermi level: 1.625 states/eV/atom
* size of the total moment: 0.0 Bohr magnetons per cell
* E_form: 0.16 eV/atom

(4)
This record from the Alexandria database describes crystalline AlMo2W at its relaxed geometry. The functional is PBE.

Unit cell a=9.5403 b=9.5403 c=9.5403 alpha=16.88 beta=16.88 gamma=16.88
Element x y z (fractional)
Mo 0.0022 0.0022 0.0022
Mo 0.2502 0.2502 0.2502
W 0.4977 0.4977 0.4977
Al 0.7499 0.7499 0.7499

## Properties
* theoretical density: 10.48 g cm⁻³
* density of states at the Fermi level: 1.071 states/eV/atom
* size of the total moment: 0.0 Bohr magnetons per cell
* E_form: 0.24 eV/atom

(5)
This record from the Alexandria database describes crystalline MnCrCu2 at its relaxed geometry. The functional is PBE.

Unit cell a=4.3407 b=4.3407 c=4.6675 alpha=85.21 beta=85.21 gamma=31.90
Element x y z (fractional)
Mn 0.4923 0.4923 0.4823
Cr 0.2558 0.2558 0.2678
Cu 0.0023 0.0023 0.9872
Cu 0.7496 0.7496 0.7628

## Properties
* theoretical density: 8.39 g cm⁻³
* density of states at the Fermi level: 0.951 states/eV/atom
* size of the total moment: 0.0 Bohr magnetons per cell
* E_form: 0.28 eV/atom

(6)
This record from the Alexandria database describes crystalline Dy8NiAg2 at its relaxed geometry. The functional is PBE.

Unit cell a=5.1990 b=6.7758 c=9.0777 alpha=105.77 beta=106.64 gamma=90.00
Element x y z (fractional)
Dy 0.7987 0.6889 0.5975
Dy 0.5892 0.4347 0.1785
Dy 0.3429 0.0319 0.6858
Ag 0.1860 0.7248 0.3720
Ag 0.8140 0.2752 0.6280
Dy 0.2013 0.3111 0.4025
Dy 0.9734 0.2141 0.9467
Dy 0.4108 0.5653 0.8215
Ni 0.5000 0.0000 0.0000
Dy 0.6571 0.9681 0.3142
Dy 0.0266 0.7859 0.0533

## Properties
* excess energy over the best structure of this formula in the dataset: 0 meV/atom
* theoretical density: 8.90 g cm⁻³
* density of states at the Fermi level: 1.062 states/eV/atom
* size of the total moment: 0.0 Bohr magnetons per cell
* E_form: -0.15 eV/atom

(7)